To do =
Could you work out how many lines further below have the word "with" in them; a number is enough?

Source =
=====
(1)
A geometry-optimized TiPd structure, computed with r²SCAN. Values from VASP.

total moment: 0.00 μB/cell
symmetry: P4/mmm (123)
E_tot: -18.4766 eV per atom
DFT formation energy: -527 meV/atom

Quantum ESPRESSO input file:
```
&SYSTEM
  ibrav = 0, nat = 2, ntyp = 2
/
ATOMIC_SPECIES
Ti 47.87 Ti.upf
Pd 106.42 Pd.upf
CELL_PARAMETERS angstrom
2.8147 0.0000 0.0000
0.0000 2.8147 0.0000
0.0000 0.0000 3.8658
ATOMIC_POSITIONS crystal
Ti 0.0000 0.0000 0.0000
Pd 0.5000 0.5000 0.5000
```

(2)
A geometry-optimized Ga9Ir2 structure, computed with r²SCAN. Values from VASP.

total moment: 0.00 μB/cell
symmetry: P2_1/c (14)
E_tot: -19.2043 eV per atom
DFT formation energy: -322 meV/atom
ΔE to the lowest computed polymorph: 0.003 eV per atom

Quantum ESPRESSO input file:
```
&SYSTEM
  ibrav = 0, nat = 22, ntyp = 2
/
ATOMIC_SPECIES
Ga 69.72 Ga.upf
Ir 192.22 Ir.upf
CELL_PARAMETERS angstrom
-0.2146 0.0000 -6.4162
0.0000 -6.4078 0.0000
-8.7682 0.0000 0.7686
ATOMIC_POSITIONS crystal
Ga 0.3910 0.3066 0.4978
Ga 0.2136 0.6016 0.0416
Ga 0.3910 0.1934 0.9978
Ga 0.2136 0.8984 0.5416
Ga 0.7864 0.1016 0.4584
Ga 0.6033 0.0051 0.7263
Ga 0.6090 0.8066 0.0022
Ga 0.1034 0.2122 0.7211
Ga 0.0000 0.0000 0.0000
Ga 0.1034 0.2878 0.2211
Ga 0.3967 0.5051 0.7737
Ga 0.8966 0.7122 0.7789
Ga 0.6033 0.4949 0.2263
Ga 0.3967 0.9949 0.2737
Ga 0.7864 0.3984 0.9584
Ga 0.8966 0.7878 0.2789
Ga 0.0000 0.5000 0.5000
Ga 0.6090 0.6934 0.5022
Ir 0.7393 0.3708 0.6685
Ir 0.2607 0.6292 0.3315
Ir 0.7393 0.1292 0.1685
Ir 0.2607 0.8708 0.8315
```

(3)
A geometry-optimized Mg3TiNi2 structure, computed with r²SCAN. Values from VASP.

total moment: 0.00 μB/cell
symmetry: Fd-3m (227)
E_tot: -8.4755 eV per atom
DFT formation energy: -241 meV/atom

Quantum ESPRESSO input file:
```
&SYSTEM
  ibrav = 0, nat = 24, ntyp = 3
/
ATOMIC_SPECIES
Ni 58.69 Ni.upf
Ti 47.87 Ti.upf
Mg 24.30 Mg.upf
CELL_PARAMETERS angstrom
0.0000 5.7730 5.7730
5.7730 0.0000 5.7730
5.7730 5.7730 0.0000
ATOMIC_POSITIONS crystal
Ni 0.7392 0.4203 0.4203
Ni 0.8297 0.8297 0.5108
Ni 0.8297 0.8297 0.8297
Ni 0.4203 0.7392 0.4203
Ni 0.4203 0.4203 0.7392
Ni 0.4203 0.4203 0.4203
Ni 0.8297 0.5108 0.8297
Ni 0.5108 0.8297 0.8297
Ti 0.1250 0.6250 0.6250
Ti 0.6250 0.1250 0.6250
Ti 0.6250 0.6250 0.1250
Ti 0.6250 0.6250 0.6250
Mg 0.0573 0.0573 0.4427
Mg 0.1927 0.8073 0.8073
Mg 0.8073 0.1927 0.1927
Mg 0.0573 0.4427 0.4427
Mg 0.4427 0.4427 0.0573
Mg 0.4427 0.0573 0.4427
Mg 0.0573 0.4427 0.0573
Mg 0.1927 0.1927 0.8073
Mg 0.1927 0.8073 0.1927
Mg 0.4427 0.0573 0.0573
Mg 0.8073 0.1927 0.8073
Mg 0.8073 0.8073 0.1927
```

(4)
A geometry-optimized NdSeO structure, computed with r²SCAN. Values from VASP.

total moment: 0.00 μB/cell
symmetry: Cmce (64)
E_tot: -19.3277 eV per atom
DFT formation energy: -2760 meV/atom

Quantum ESPRESSO input file:
```
&SYSTEM
  ibrav = 0, nat = 12, ntyp = 3
/
ATOMIC_SPECIES
Se 78.96 Se.upf
O 16.00 O.upf
Nd 144.24 Nd.upf
CELL_PARAMETERS angstrom
3.0010 -6.6439 0.0000
3.0010 6.6439 0.0000
0.0000 0.0000 5.9949
ATOMIC_POSITIONS crystal
Se 0.8597 0.8597 0.8594
Se 0.3597 0.3597 0.6406
Se 0.1403 0.1403 0.1406
Se 0.6403 0.6403 0.3594
O 0.4939 0.9939 0.7500
O 0.5061 0.0061 0.2500
O 0.0061 0.5061 0.2500
O 0.9939 0.4939 0.7500
Nd 0.3325 0.6675 0.0000
Nd 0.8325 0.1675 0.5000
Nd 0.1675 0.8325 0.5000
Nd 0.6675 0.3325 0.0000
```

(5)
A geometry-optimized Lu2RuRh structure, computed with r²SCAN. Values from VASP.

total moment: 0.00 μB/cell
symmetry: Fm-3m (225)
E_tot: -32.2634 eV per atom
DFT formation energy: -833 meV/atom

Quantum ESPRESSO input file:
```
&SYSTEM
  ibrav = 0, nat = 4, ntyp = 3
/
ATOMIC_SPECIES
Lu 174.97 Lu.upf
Rh 102.91 Rh.upf
Ru 101.07 Ru.upf
CELL_PARAMETERS angstrom
0.0000 3.3106 3.3106
3.3106 0.0000 3.3106
3.3106 3.3106 0.0000
ATOMIC_POSITIONS crystal
Lu 0.5000 0.5000 0.5000
Lu 0.0000 0.0000 0.0000
Rh 0.2500 0.2500 0.2500
Ru 0.7500 0.7500 0.7500
```

(6)
A geometry-optimized ScTi9N9 structure, computed with r²SCAN. Values from VASP.

total moment: 0.00 μB/cell
symmetry: P-1 (2)
E_tot: -12.9503 eV per atom
=====

Outcome =
6